Mr Ng Chee Meng
Senior Minister of State
Ministry of Transport
Dear SMS Ng,
National Taxi Association’s Recommendations on
Private Hire Vehicle Services
The NTA is of the view that any review pertaining to private hire vehicle services should adhere to three key principles:
For all point-to-point transfer services, the safety and security of commuters must be of utmost importance.
All Drivers of Point-to-Point Transfers should be similarly Qualified and Certified
Taxi drivers are subject to stringent checks by the Land Transport Authority (LTA) and the Singapore Traffic Police. They are first required to pass medical and criminal background checks before they can go through the Taxi Driving Vocational Licence (TDVL) course. Upon passing the 60-hour TDVL course, drivers are also subject to regular checks by authorities to ensure that their TDVL and driving licences remain valid. Depending on the age of taxi drivers, medical tests are conducted as necessary. Upon reaching age 70, taxi drivers are required to attend and pass fitness and driving agility tests for the renewal of their TDVL. Any behaviour contrary to the standards will result in penalties imposed by the LTA, including fines and/or suspension or even revocation of their TDVL for the taxi drivers. These standards that ensure the safety and security of the commuters should not be compromised.
NTA recommends: All drivers and service providers who provide point-to-point transfer services serving the same consumer market should be similarly qualified and certified.
Transport Vehicles and Drivers Must Be Distinctly Identified
Taxi vehicles are clearly marked for easy identification for commuters and enforcement purposes. Specifically for taxi drivers, the photo identification issued by LTA enables commuters to easily identify the driver, and be assured that they hold a valid TDVL. As it is, private hire vehicle services are not expected to provide either form of identification.
NTA recommends: Private hire vehicles and drivers serving the same consumer market should adopt similar identification protocol for consumers’ safety and security.
Clear and Transparent Accountability and Liability
Besides a safe and comfortable ride, commuters also expect “peace of mind” with regard to liability claims or disputes pertaining to chargeable rates and standards of service. For taxis, commuters can approach LTA or taxi operators directly for help or liability claims in event of unfortunate incidents or disputes, whereas for existing private hire vehicle service providers, it is currently unclear as to who the commuters can make claims from; the apps providers, car leasing company or drivers.
NTA recommends: Need for clear accountability with regard to unfortunate incidents, disputes and claims.
Review Point-to-Point Transfer Services’ Operating Costs and Fees and Rates
Taxi operators are subjected to a plethora of compliance costs, which ultimately translate into higher rental cost for taxi drivers and charges for consumers. For example, the shelf life of a taxi is capped at eight years and taxi operators are not allowed to repurpose the vehicles for private use at any point in time, taxi vehicles are required to go through half yearly statutory vehicle inspections and meet Euro 5/6 emission standards, etc. Taxi drivers are also required to undergo training, refresher and renewal courses to obtain and maintain their vocational license, again adding to the higher costs for drivers.
NTA recommends: Ministry of Transport reviews the standards imposed and the cost structure for taxis with a view of levelling the competition field between taxis and private hires.
Charge Rates Differentials
Taxi operators adhere to fixed schedule of charges approved by LTA while private hires are able to dynamically change their pricing according to demand and supply.
NTA recommends: Charges and fees of point-to-point transfers which serve the same consumer market to be reviewed to allow taxi drivers to compete fairly and allows commuters to have easy access to clear and transparent fee structures.
Embrace New Tools and Review Relevance of Existing Availability and Service Requirements and Tracking Methods
In the past, statutory requirements were put in place to meet availability and quality of taxi services standards. For instance, taxi operators are required to ensure that 85 per cent of their taxi fleet meet the daily minimum mileage of 250km, and that at least 92 per cent of call bookings are successfully matched. Failing which, they will be financially penalised. This led to taxi operators investing in manpower and resources to track such requirements, which resulted in higher operating costs and inevitably, higher rental and fuel costs for taxi drivers.
Today, consumers are able to provide direct feedback through user reviews and have greater access to taxi services with the use of technology and new tools such as third-party apps. Therefore, the existing requirements and methods of tracking need to be reviewed to ensure relevance.
NTA recommends: LTA to recognise and embrace the effectiveness of these new tools to determine service and availability standards without the need for statutory requirements that have become prescriptive, distorting and costly.
Consistency in Regulating Taxi and Private Hire Services
Laws were recently passed in August 2015 to regulate third-party taxi booking service providers. The regulations help ensure that the taxi fare and bookings, as well as the responsibility of these apps providers to commuters and drivers are clear and transparent. For example, apps providers must provide information such as vehicle type, flag-down rate, booking fees to commuters before they confirm the bookings. Commuters are also assured that such apps do not infringe on any taxi regulations i.e., overcharging on fare, etc. For private hire vehicle service providers, there are currently no regulations in place to provide any similar reference for commuters.
NTA recommends: LTA to be consistent in regulating and monitoring any point-to-point transfer service providers i.e., private hire vehicle services and drivers serving the same consumer market.
Various new and emerging apps have allowed for better matching of supply and demand in the private hire market.
NTA recommends: The government and taxi operators to take bold steps in leveraging these new technologies and practices to improve the riding experience of their passengers and matching efficiency of taxi drivers. It is important that our transport policies and regulations as well as taxi business model keeps pace with technology advancement and consumer preferences. Ultimately, this should improve transport availability and contribute to greater efficiency in the use of our transport assets.
The above feedback and recommendations balance the need to level the playing field for the various stakeholders in the industry, and at the same time safeguard the interests of our end users.
Yours Sincerely,
Ang Hin Kee
### Attached: records of crystals
┌──
(1)
The following is a GGA-PBE calculation of a relaxed Li2IrW crystal, from Alexandria.

a = 5.2253 Å, b = 5.2253 Å, c = 4.4253 Å
α = 71.47°, β = 71.47°, γ = 31.39°
Atoms (fractional coordinates):
1 Ir 0.2500 0.2500 0.2500
2 Li 0.9878 0.9878 0.0130
3 Li 0.5122 0.5122 0.4870
4 W 0.7500 0.7500 0.7500

Properties
- total DFT energy (no corrections) (eV/atom) = -6.310
- space-group type = C2/m (12)
- formation energy from the elements (kcal/mol of atoms) = 2.3
- ρ (g/cm³) = 10.9

---

(2)
The following is a GGA-PBE calculation of a relaxed Si2NiHBr crystal, from Alexandria.

a = 5.0840 Å, b = 3.1326 Å, c = 5.0840 Å
α = 90.00°, β = 90.00°, γ = 90.00°
Atoms (fractional coordinates):
1 Ni 0.5000 0.5000 0.5000
2 Si 0.0000 0.0000 0.5000
3 Si 0.5000 0.0000 0.0000
4 Br 0.0000 0.0000 0.0000
5 H 0.0000 0.5000 0.0000

Properties
- total DFT energy (no corrections) (eV/atom) = -3.254
- space-group type = P4/mmm (123)
- ρ (g/cm³) = 4.0

---

(3)
The following is a GGA-PBE calculation of a relaxed Ho8TlGa2 crystal, from Alexandria.

a = 4.9220 Å, b = 7.8909 Å, c = 8.6757 Å
α = 111.19°, β = 106.48°, γ = 90.00°
Atoms (fractional coordinates):
1 Ho 0.3988 0.5396 0.7976
2 Ho 0.6798 0.9529 0.3597
3 Ho 0.8321 0.7545 0.6642
4 Ho 0.9490 0.2677 0.8979
5 Ho 0.1679 0.2455 0.3358
6 Ho 0.3202 0.0471 0.6403
7 Ho 0.6012 0.4604 0.2024
8 Ho 0.0510 0.7323 0.1021
9 Tl 0.5000 0.0000 0.0000
10 Ga 0.7854 0.3451 0.5707
11 Ga 0.2146 0.6549 0.4293

Properties
- total DFT energy (no corrections) (eV/atom) = -4.356
- space-group type = C2/m (12)
- formation energy from the elements (kcal/mol of atoms) = -6.0
- ρ (g/cm³) = 9.2

---

(4)
The following is a GGA-PBE calculation of a relaxed PrZnCd crystal, from Alexandria.

a = 3.4005 Å, b = 3.4005 Å, c = 7.9790 Å
α = 102.30°, β = 102.30°, γ = 90.00°
Atoms (fractional coordinates):
1 Pr 0.9457 0.9457 0.8915
2 Zn 0.7491 0.7491 0.4983
3 Cd 0.1551 0.1551 0.3102

Properties
- total DFT energy (no corrections) (eV/atom) = -1.935
- space-group type = I4mm (107)
- formation energy from the elements (kcal/mol of atoms) = 8.9
- ρ (g/cm³) = 6.0

---

| no. | spin magnetization (μB/f.u.) |
| --- | --- |
| 1 | 0.0 |
| 2 | 0.0 |
| 3 | 0.0 |
| 4 | 0.0 |

=====

Entry from the Alexandria database: an optimized crystal structure of Sr2TaCrO6 (PBE with a Hubbard U).

- electronic total energy (eV for the cell shown) = -80.6
- symmetry = C2/m (12)

Lattice parameters (Å, degrees): 5.640 5.640 5.665 120.13 120.13 60.00
Positions (direct):
Sr 0.250 0.250 0.247
Sr 0.750 0.750 0.753
Ta 0.000 0.000 0.500
Cr 0.500 0.500 0.000
O 0.224 0.726 0.227
O 0.249 0.249 0.701
O 0.274 0.776 0.773
O 0.726 0.224 0.227
O 0.751 0.751 0.299
O 0.776 0.274 0.773

=====

Record 1
Here is a geometry-optimized CaLa3Os structure from Alexandria via LeMat-Bulk. Energies are from PBE.

Values from the calculation:
└──
Executive Advisor, National Taxi Association
Assistant Secretary General, National Trades Union Congress